Input:
~~~
# 1
A relaxed Re2C3N6 crystal, computed with PBE.

ΔE to the lowest computed polymorph = 0.000 eV/atom

a b c (Å): 10.4471 4.8970 30.2850
angles (deg): 90.00 163.82 76.45
Positions (direct):
N (0.0082, 0.6345, 0.0393)
N (0.0082, 0.3573, 0.5393)
C (0.9680, 0.6803, 0.0669)
Re (0.9052, 0.0525, 0.6341)
C (0.0320, 0.3197, 0.9331)
Re (0.0948, 0.9577, 0.8659)
Re (0.0948, 0.9476, 0.3659)
C (0.0000, 0.3307, 0.2500)
N (0.9082, 0.3644, 0.5876)
N (0.1123, 0.2688, 0.3275)
C (0.0000, 0.6692, 0.7500)
N (0.0918, 0.6356, 0.4124)
N (0.1123, 0.6189, 0.8275)
N (0.9918, 0.6427, 0.4607)
Re (0.9052, 0.0423, 0.1341)
C (0.0320, 0.6483, 0.4331)
N (0.0918, 0.2727, 0.9124)
N (0.9918, 0.3656, 0.9607)
C (0.9680, 0.3517, 0.5669)
N (0.8878, 0.3810, 0.1726)
N (0.9082, 0.7273, 0.0876)
N (0.8878, 0.7312, 0.6726)



# 2
A relaxed BiTe crystal, computed with PBE.

ΔE to the lowest computed polymorph = 0.102 eV/atom

a b c (Å): 4.6009 4.6009 4.6009
angles (deg): 60.00 60.00 60.00
Positions (direct):
Te (0.5000, 0.5000, 0.5000)
Bi (0.0000, 0.0000, 0.0000)



Number 1: calculated density 7.0 Mg/m³, E -8.9982 eV/atom, formation energy 131.6 meV per atom. Number 2: calculated density 8.1 Mg/m³, E -3.6113 eV/atom, formation energy -305.7 meV per atom.

* * * * *

# LiSm2Ir

A geometry-optimized LiSm2Ir structure (PBE, Materials Project).

Cell lengths 7.111, 7.111, 7.111 Å; angles 90.00, 90.00, 90.00 degrees
Space group Fm-3m (No. 225)
One atom of each set of equivalent atoms:
Li (0.000, 0.000, 0.000) x4
Sm (0.250, 0.250, 0.250) x8
Ir (0.000, 0.000, 0.500) x4

Output
- Calculated formation energy: -0.470 eV per atom
- Crystal system: cubic

* * * * *

# 1
{"formula": "Na6Zr2Si4O17", "functional": "PBE", "state": "relaxed", "e_form_ev_per_atom": -2.674, "space_group": "C2/m (12)", "lattice_angstrom": [[4.612, -2.787, 0.000], [4.612, 2.787, 0.000], [-0.255, 0.000, 14.258]], "species": ["Na", "Na", "Na", "Na", "Na", "Na", "Zr", "Zr", "Si", "Si", "Si", "Si", "O", "O", "O", "O", "O", "O", "O", "O", "O", "O", "O", "O", "O", "O", "O", "O", "O"], "fractional_positions": [[0.007, 0.007, 0.245], [0.317, 0.317, 0.624], [0.326, 0.326, 0.119], [0.674, 0.674, 0.881], [0.683, 0.683, 0.376], [0.993, 0.993, 0.755], [0.000, 0.000, 0.000], [0.000, 0.000, 0.500], [0.341, 0.341, 0.377], [0.344, 0.344, 0.882], [0.656, 0.656, 0.118], [0.659, 0.659, 0.623], [0.182, 0.691, 0.385], [0.207, 0.207, 0.453], [0.211, 0.687, 0.896], [0.217, 0.217, 0.962], [0.267, 0.267, 0.777], [0.268, 0.268, 0.272], [0.309, 0.818, 0.615], [0.313, 0.789, 0.104], [0.500, 0.500, 0.500], [0.687, 0.211, 0.896], [0.691, 0.182, 0.385], [0.732, 0.732, 0.728], [0.733, 0.733, 0.223], [0.783, 0.783, 0.038], [0.789, 0.313, 0.104], [0.793, 0.793, 0.547], [0.818, 0.309, 0.615]]}

# 2
{"formula": "K2GaPCO7", "functional": "PBE", "state": "relaxed", "e_form_ev_per_atom": -2.344, "space_group": "P2_1/m (11)", "lattice_angstrom": [[5.488, 0.000, 0.000], [0.000, 6.754, 0.000], [-0.108, 0.000, 9.681]], "species": ["K", "K", "K", "K", "Ga", "Ga", "P", "P", "C", "C", "O", "O", "O", "O", "O", "O", "O", "O", "O", "O", "O", "O", "O", "O"], "fractional_positions": [[0.243, 0.026, 0.241], [0.243, 0.474, 0.241], [0.757, 0.526, 0.759], [0.757, 0.974, 0.759], [0.233, 0.250, 0.642], [0.767, 0.750, 0.358], [0.277, 0.750, 0.565], [0.723, 0.250, 0.435], [0.271, 0.250, 0.897], [0.729, 0.750, 0.103], [0.061, 0.250, 0.829], [0.099, 0.750, 0.439], [0.239, 0.562, 0.655], [0.239, 0.938, 0.655], [0.293, 0.250, 0.025], [0.451, 0.250, 0.486], [0.457, 0.250, 0.810], [0.543, 0.750, 0.190], [0.549, 0.750, 0.514], [0.707, 0.750, 0.975], [0.761, 0.062, 0.345], [0.761, 0.438, 0.345], [0.901, 0.250, 0.561], [0.939, 0.750, 0.171]]}

# 3
~~~

Wanted:
The reader should search the calculation results further above for the word "each" and transcribe each line that has it.

Response:
One atom of each set of equivalent atoms: